Joshua Siegel


Smiga: This is Brian Smiga with the Alpha Venture Podcast. I’m here today with Josh Siegel of Rubicon Ventures. Welcome, Josh.

Josh: Thank you Brian. Happy to be here.

Smiga: Alpha Ventures is a growth stage venture fund that works with funds like Rubicon to assist in fully monetizing their pro rata in later stage rounds, and as a result, we’re tracking category leaders that our vc partners have invested. Josh is here today to talk about Rubicon, and also about a category leading company he’s invested in, which is doing phenomenally well. So Josh, welcome to the show, and please tell us about Rubicon.

Josh: Rubicon Venture Capital is a bi-coastal firm. We have offices in San Francisco and New York City. We’re generalists. We invest typically in late seed, series A, and series B rounds of software internet tech companies. So that can be Fin Tech, Enterprise SAS, B2B, B2C, insurance tech, hospitality tech, mobile big data, artificial intelligence, machine learning, and things like that. We stay away from healthcare, ED tech, energy companies, oil and gas, and anything that’s highly-regulated, like smart city stuff, and things of that nature. Geographically, we can invest anywhere, be it within the United States, or externally. We have done several international investments.

Smiga: Great. So you’ve got a great group of companies in your portfolio, and performance today, it’s been great, because we’ve been following Rubicon for four years. But one standout winner is TodayTix. Maybe we could start with the origin story: why did the founders create TodayTix? And when did you first meet them and what prompted your decision to invest?

Josh: The Rubicon office in New York City is in the Meat Packing district in the WeWork Building, principally because I live a few blocks away. So it’s ultra convenient, but also because there’s lots of companies coming through the building, on a monthly basis. So there’s about a 150 companies that cycle through here every month, and it just so happens that the original two founders of TodayTix had the office next door to mine.

So, I met them fairly early, before they had taken any seed capital, because it was just two guys that had an idea, that wanted to create something to up end the Broadway ticketing market, originally in New York City. I met them in October of 2011. We did not invest until April of 2014. So I’d known them for a good two years plus, before we made our initial investment, and over time, I got to know them as individuals. I got to know them as entrepreneurial partners. I advised them on how to do their early seed round. I was able to introduce them to their legal counsel, who helped them found the company, and structure the deals, and I provided mentorship and support for quite a bit of time, before making an investment, and it was a great way to get to know them.

One thing that’s important to understand about Rubicon is that we are not really a seed stage investment venture capital firm. So we like to see some traction before we’re writing that check, and sometimes, startups can take a long time before they’re generating that initial million dollars in ARR, which is what we like to see.

Smiga: That’s great. So there was a long “two and a half years get to know each other” period, and I guess one take away here is that venture firms, like yours, when they have a good hangout, and see lots of companies, can pick the top one or two percent of those companies that make an impression on you, provide some add-on value, and then eventually, you came together. So what catalyzed the decision in April of 14 to invest?

Josh: In 2013 we were watching how the launch was going, and how things were happening. As a native New Yorker, I understood the dynamics of the market, and what they were trying to solve, because as most New Yorkers, and even a lot of tourists know, there’s what’s known as a TKTS booth in the middle of Time Square, which is a last minute ticketing booth for off-Broadway, and Broadway theater tickets, and basically, you have to wait in line, for three or more hours, in order to buy same day discounted tickets.

Brian Fenty and Merritt Baer were mobilizing that entire process, which to me, made perfect sense. You know, why stand in line when you can just do it on your phone? So it was a no-brainer. The key is how do you get people to change behavior. How do you get the word out, how do you get people to know what’s going on. The other issue is availability of inventory. Theater is still very much a handshake business. It’s not run by big corporations. Although #Disney does have a foot in the door, but it’s still a family-operated business, at least in New York, and most of the big theater cities.

So you have to get inventory directly from the theaters, which means directly from the people that own them, or own the shows. You can’t just go online and be like, “Hey, I want a $100,000 worth of tickets for Show xyz.” It doesn’t work that way. But both Brian Fenty and Merritt had a lot of relationships, and they were able to get the inventory, and then, they were able to sell it, along with a certain amount of fees and commissions, in order to start the business.

And so, we were watching carefully. So following the launch, they realized, “Hey, we need to raise additional capital to fuel marketing growth, because now that this thing works, we’ve done the test, we actually need to construct a full round of capital to get us to the next milestones.” And that’s when we came in as a fund.

Smiga: Yeah. I would expect that with the TKTS booth on your mobile, all of a sudden, you had younger, perhaps more loyal, more interesting patrons, buying tickets, and that must’ve been an important signal to the producers, and the providers of inventory. Is that the case today? Does TodayTix bring a younger, more avid audience to the theater?

Josh: Yes. That is the situation today. At first we weren’t sure, but today, a majority of the tickets are purchased by the under 35 set, and ticket pricing in the theater business is quite high, over a $100 a ticket, typically, and so, they’re spending more money on a per transaction basis, and it’s a younger demographic. So they’re bringing more people, but more important, they know exactly who the people are that are buying the tickets, because it’s on your mobile device, it’s not from a third party, it’s not just random, right? And you have to have the device with you, in order to pick up the tickets from the TodayTix personnel, that stand outside the theater. There’s ways to do gift tix, but 90 plus percent of the people are using the tickets themselves. So the theaters actually do get to know who’s actually in their seats.

Smiga: Yeah. So lots of advantages for both sides over doing the TKTS booth, and then the ultimate sales, and customer loyalty programs are on the mobile phone. Along the way, there had to be interesting pivots, and or reaches that the founders needed to make, whether it was moving to London, or other. Can you describe one of these heroic changes, or leaps that the founders made?

-- Unrelated to this article: materials data --
'''
Entry 1:
Li9Mn7V12O48 | GGA+U | relaxed

Results
E = -531.0 eV/f.u.
energy relative to the elements = -2.21 eV per atom
ΔE to the lowest computed polymorph = 0.0 meV/atom

Unit cell a=5.0293 b=10.2001 c=17.1522 alpha=90.03 beta=90.58 gamma=90.04
Fractional positions:
Li  0.0000  0.0000  0.0000
Li  0.0013  0.3340  0.6715
Li  0.1496  0.5025  0.9524
Li  0.3447  0.0022  0.4502
Li  0.4923  0.9973  0.8967
Li  0.4952  0.8352  0.7332
Li  0.5045  0.6731  0.2288
Li  0.5060  0.3321  0.2284
Li  0.9959  0.4994  0.5091
Mn  0.0056  0.8201  0.1736
Mn  0.0074  0.1848  0.1734
Mn  0.0114  0.6861  0.6784
Mn  0.4510  0.5013  0.4005
Mn  0.4852  0.1874  0.7263
Mn  0.6514  0.5034  0.9504
Mn  0.8447  0.0030  0.4524
V  0.0204  0.0052  0.6452
V  0.0208  0.7249  0.3574
V  0.0228  0.2797  0.3570
V  0.4715  0.7812  0.0461
V  0.4727  0.2242  0.0459
V  0.4727  0.5056  0.7573
V  0.5331  0.2771  0.5438
V  0.5351  0.0024  0.2571
V  0.5361  0.7278  0.5478
V  0.9605  0.2280  0.8546
V  0.9598  0.5023  0.1419
V  0.9638  0.7776  0.8590
O  0.0722  0.0057  0.5431
O  0.0755  0.1303  0.4085
O  0.0760  0.8728  0.4097
O  0.1383  0.1321  0.9127
O  0.1555  0.6468  0.1634
O  0.1566  0.3583  0.1636
O  0.1650  0.8705  0.9156
O  0.1672  0.7401  0.7726
O  0.1726  0.8648  0.0799
O  0.1736  0.1405  0.0792
O  0.1791  0.2610  0.7738
O  0.1835  0.5184  0.6950
O  0.3104  0.0191  0.7057
O  0.3133  0.6378  0.3322
O  0.3138  0.3685  0.3307
O  0.3173  0.7593  0.6261
O  0.3256  0.8718  0.2349
O  0.3266  0.1336  0.2350
O  0.3344  0.2415  0.6272
O  0.3340  0.3772  0.4844
O  0.3526  0.6266  0.4881
O  0.4201  0.5054  0.8582
O  0.4206  0.3746  0.9962
O  0.4231  0.6288  0.9971
O  0.6119  0.1297  0.4932
O  0.6125  0.8729  0.4972
O  0.6154  0.0012  0.3563
O  0.6440  0.1270  0.9886
O  0.6479  0.3612  0.7347
O  0.6536  0.8787  0.9923
O  0.6670  0.1417  0.8206
O  0.6858  0.7544  0.1282
O  0.6889  0.2499  0.1276
O  0.6952  0.6287  0.7333
O  0.6953  0.8652  0.8304
O  0.6970  0.5026  0.2012
O  0.8020  0.1290  0.6686
O  0.8040  0.3616  0.5714
O  0.8152  0.3776  0.4065
O  0.8181  0.6266  0.4093
O  0.8234  0.6430  0.5801
O  0.8308  0.0025  0.1922
O  0.8429  0.7674  0.2717
O  0.8444  0.2372  0.2712
O  0.8472  0.8605  0.6668
O  0.8749  0.5009  0.0426
O  0.8806  0.3738  0.9046
O  0.8814  0.6285  0.9088

Entry 2:
DyCuMo2O8 | GGA+U | relaxed

Results
E = -85.4 eV/f.u.
energy relative to the elements = -2.28 eV per atom

Unit cell a=9.8839 b=14.7167 c=10.2820 alpha=90.00 beta=90.00 gamma=90.00
Fractional positions:
Dy  0.2215  0.1038  0.0345
Dy  0.2215  0.3962  0.5345
Dy  0.2785  0.6038  0.0345
Dy  0.2785  0.8962  0.5345
Dy  0.7215  0.1038  0.4655
Dy  0.7215  0.3962  0.9655
Dy  0.7785  0.6038  0.4655
Dy  0.7785  0.8962  0.9655
Cu  0.1881  0.1976  0.6832
Cu  0.1881  0.3024  0.1832
Cu  0.3119  0.6976  0.6832
Cu  0.3119  0.8024  0.1832
Cu  0.6881  0.1976  0.8168
Cu  0.6881  0.3024  0.3168
Cu  0.8119  0.6976  0.8168
Cu  0.8119  0.8024  0.3168
Mo  0.0006  0.0569  0.7189
Mo  0.0006  0.4431  0.2189
Mo  0.1673  0.6530  0.3970
'''

Josh: Yeah. The biggest change was the business model. Originally, they were taking a commission on the fee structure of each ticket. So if you sold the ticket for a $100, they were taking anywhere between 5 and 10%.

Smiga: Right.

Josh: What has happened in the last year or so, is they realized that consumers are open to paying for convenience fees of getting the tickets delivered, and buying them on their mobile device, and that has been a real game changer in the revenue model for the company. So TodayTix instituted convenience fees, they instituted the delivery fee, and the fall off was negligible. People were not resistant to paying those fees for saving time and getting a better experience. So that is made it so that the company is no longer venture-subsidized, which happens with a lot of companies.

The other leap is expanding to other geographies. So right now, TodayTix is in New York, Connecticut, Washington DC, Chicago, San Francisco, LA, London, Toronto, and a number of other secondary cities. They’re going to be launching more cities in Europe later this year. What you have to understand is that live theater is a 50 billion dollar a year market. That’s huge. Most people don’t understand theater.

So a lot of VCs just never understood the size of the market. They did not understand 8 shows a week, the limited quantity, and the scarcity making the best tickets, you know, $100 plus, versus a movie ticket, at $7-12.

........
PBE Na2CaZr2Si10HO26, relaxed; V = 18.00 Å³/atom; total DFT energy (no corrections) = -640.5 eV/cell
1.0
-1.7818 6.7733 6.4067
9.0439 -2.8819 -0.0177
0.6950 10.9988 -15.3588
Na Ca Zr Si H O
4 2 4 20 2 52
direct
0.8971 0.9630 0.8062
0.9630 0.8971 0.3062
0.7395 0.6785 0.9832
0.6785 0.7395 0.4832
0.2744 0.5038 0.8958
0.5038 0.2744 0.3958
0.3953 0.8936 0.8861
0.8936 0.3953 0.3861
0.3665 0.8537 0.3858
0.8537 0.3665 0.8858
0.0259 0.6054 0.7715
0.6054 0.0259 0.2715
0.7309 0.1257 0.0020
0.1257 0.7309 0.5020
0.5787 0.1777 0.6298
0.1777 0.5787 0.1298
0.7227 0.1171 0.4925
0.1171 0.7227 0.9925
0.2676 0.0696 0.5128
0.0696 0.2676 0.0128
0.0649 0.2617 0.5087
0.2617 0.0649 0.0087
0.6147 0.0247 0.7658
0.0247 0.6147 0.2658
0.1692 0.5746 0.6317
0.5746 0.1692 0.1317
0.4761 0.6784 0.7513
0.6784 0.4761 0.2513
0.4805 0.6809 0.2514
0.6809 0.4805 0.7514
0.4990 0.4069 0.9487
0.4069 0.4990 0.4487
0.3957 0.1127 0.5887
0.1127 0.3957 0.0887
0.2489 0.7308 0.9430
0.7308 0.2489 0.4430
0.6868 0.1731 0.5711
0.1731 0.6868 0.0711
0.0563 0.5631 0.6901
0.5631 0.0563 0.1901
0.6293 0.8588 0.2607
0.8588 0.6293 0.7607
0.2041 0.2046 0.5156
0.2046 0.2041 0.0156
0.4740 0.0230 0.3184
0.0230 0.4740 0.8184
0.1588 0.7014 0.5846
0.7014 0.1588 0.0846
0.6840 0.3964 0.8195
0.3964 0.6840 0.3195
0.1072 0.4024 0.5791
0.4024 0.1072 0.0791
0.8979 0.1148 0.5098
0.1148 0.8979 0.0098
0.5900 0.0648 0.6853
0.0648 0.5900 0.1853
0.7877 0.1421 0.8159
0.1421 0.7877 0.3159
0.3167 0.0473 0.9314
0.0473 0.3167 0.4314
0.6237 0.8491 0.7538
0.8491 0.6237 0.2538
0.5978 0.9531 0.9555
0.9531 0.5978 0.4555
0.9024 0.1165 0.0096
0.1165 0.9024 0.5096
0.7341 0.2644 0.9602
0.2644 0.7341 0.4602
0.3495 0.6316 0.6747
0.6316 0.3495 0.1747
0.0609 0.3422 0.9404
0.3422 0.0609 0.4404
0.3599 0.6418 0.1734
0.6418 0.3599 0.6734
0.5067 0.4919 0.4508
0.4919 0.5067 0.9508
0.3946 0.6840 0.8218
0.6840 0.3946 0.3218
0.4657 0.0016 0.8037
0.0016 0.4657 0.3037
0.5516 0.5520 0.7500
0.5520 0.5516 0.2500
0.5969 0.9391 0.4526
0.9391 0.5969 0.9526

PBE CaNi5H, relaxed; V = 12.27 Å³/atom; energy above the most stable polymorph in this dataset = 13 meV/atom
1.0
0.0002 -4.8612 1.0438
3.9284 -2.7524 -1.3090
1.7331 0.6880 3.5102
Ca Ni H
1 5 1
direct
0.9960 0.9960 0.9798
0.3402 0.3402 0.0116
0.6619 0.6619 0.0098
0.5003 0.5003 0.5125
0.5110 0.9918 0.5172
0.9918 0.5110 0.5172
0.2029 0.2029 0.3059

PBE CaNi5H, relaxed; V = 12.01 Å³/atom; energy above the most stable polymorph in this dataset = 29 meV/atom
1.0
0.7708 3.1193 3.7517
-3.9260 0.6747 -2.9207
-2.1552 -2.3099 2.3634
Ca Ni H
1 5 1
direct
0.9978 0.0022 0.0000
0.3390 0.6610 0.0000
0.6624 0.3376 0.0000
0.4965 0.5035 0.5000
0.5044 0.0073 0.5000
0.9927 0.4956 0.5000
0.1433 0.8567 0.5000
........

Smiga: I’d like to unpack that 50 billion number a little bit, if you’re prepared to do so. So I’m presuming we’re talking about all live performances, which would include comedy, as well as live theater. Does that number also include live musical performances?

Josh: No, it does not include concerts, and things of that nature. That’s a whole different category. These are more theatrical type performances, so your Broadway, off-Broadway theater, Opera, concerts, Lincoln Center. Comedy, Dance, things like that. But not your #TicketMaster or #Bruce Springsteen concerts.

Smiga: When I log in to TodayTix, the ability to navigate and find an event that suits me, and my time frame, and my budget, is quite amazing. You know, I used to do this through the New York Times, and then go to the TKTS booth. So in New York, there’s a very big theater market, and it’s a very big paradigm shift away from that booth, on Time Square. There used to be one in the World Trade Center, remember that?

Josh: Yeah.

Smiga: But in other cities, like London and elsewhere, are they similarly displacing, or at least providing an alternative to a same day ticket buying platform?

Josh: Yes, they are. So in London especially, there are a number of outlets you can go to for same day tickets, and the West End, which is the Broadway of London, and they have a number of cheap tickets, you know, day of, but there’s no easy way to get them on mobile, except via TodayTix. I mean, it is the de facto tech category leader. The challenge with a lot of these cities is it’s still all about customer acquisition costs. You know, you still have to get people to know about the app, and download it, in order to use it, and those people that use it, do typically use it again and again.

So the challenge when entering a new market is, yes, you’re displacing an incumbent, which is fine, you have superior technology, you have the inventory, which is really important, and now, you have to get the customers.

Smiga: Right. So this formula, which we call customer unit economics, around the cost to get a customer, and their ultimate lifetime value, it’s got to vary in Berlin, versus London, versus New York, or does it hold steady, or how quickly can TodayTix enter a city, and establish what numbers are going to hold, in terms of customer acquisition costs, versus lifetime value?

Josh: Right. So in a lot of the newer cities, it’s still a little bit of an unknown. They know what the personnel cost will be, in terms of how many people they need to service the city from customer standpoint, how many people they need to establish relationships with the theaters and get tickets. So from the staffing perspective, they have that pretty much nailed down. The challenge is on the marketing cost. You know, where do you market, traditional marketing in, like, subways or taxi cabs, versus digital marketing, versus couponing, or sending emails through the system from friends who already downloaded the app.

*one*
K2SnO6 | PBE | relaxed

a b c (Å): 13.6197 3.2222 6.0516
angles (deg): 122.32 132.37 71.71
Last column: nearest neighbours and their distance in Å.
Element x y z (fractional)
K: 0.2611 0.0720 0.9137  5 O 2.66-2.89
K: 0.7389 0.9280 0.0863  5 O 2.66-2.89
Sn: 0.0000 0.0000 0.0000  6 O 2.10-2.20
O: 0.5432 0.0964 0.5224  1 O 1.30
O: 0.9450 0.3990 0.3290  1 O 1.39
O: 0.1348 0.5735 0.2549  2 Sn 2.10-2.12
O: 0.4568 0.9036 0.4776  1 O 1.30
O: 0.0550 0.6010 0.6710  1 O 1.39
O: 0.8652 0.4265 0.7451  2 Sn 2.10-2.12



*two*
K2SnO6 | PBE | relaxed

a b c (Å): 5.6773 5.6773 5.6773
angles (deg): 77.92 77.92 77.92
Last column: nearest neighbours and their distance in Å.
Element x y z (fractional)
K: 0.6858 0.6858 0.6858  6 O 2.80-2.83
K: 0.3142 0.3142 0.3142  6 O 2.80-2.83
Sn: 0.0000 0.0000 0.0000  6 O 2.05
O: 0.9088 0.6752 0.1979  1 Sn 2.05
O: 0.6752 0.1979 0.9088  1 Sn 2.05
O: 0.1979 0.9088 0.6752  1 Sn 2.05
O: 0.0912 0.3248 0.8021  1 Sn 2.05
O: 0.3248 0.8021 0.0912  1 Sn 2.05
O: 0.8021 0.0912 0.3248  1 Sn 2.05



Stability summary: most stable *one*, least stable *two*.



*one*
K2Sn2O3 | PBE | relaxed

a b c (Å): 5.9785 5.9785 5.9785
angles (deg): 61.80 61.80 61.80
Last column: nearest neighbours and their distance in Å.
Element x y z (fractional)
K: 0.5000 0.5000 0.5000  6 O 3.07
K: 0.0000 0.0000 0.0000  6 O 2.99
Sn: 0.2409 0.2409 0.2409  3 O 2.07
Sn: 0.7591 0.7591 0.7591  3 O 2.07
O: 0.0000 0.0000 0.5000  2 Sn 2.07
O: 0.0000 0.5000 0.0000  2 Sn 2.07
O: 0.5000 0.0000 0.0000  2 Sn 2.07



*two*
K2Sn2O3 | PBE | relaxed

a b c (Å): 7.3735 7.3735 7.3735
angles (deg): 109.47 109.47 109.47
Last column: nearest neighbours and their distance in Å.
Element x y z (fractional)
K: 0.5000 0.0000 0.4819  6 O 2.90-3.03
K: 0.0181 0.0181 0.0181  6 O 2.90-3.03
K: 0.4819 0.5000 0.0000  6 O 2.90-3.03
K: 0.0000 0.4819 0.5000  6 O 2.90-3.03
Sn: 0.0000 0.0116 0.5000  3 O 2.09
Sn: 0.0116 0.5000 0.0000  3 O 2.09
Sn: 0.4884 0.4884 0.4884  3 O 2.09
Sn: 0.5000 0.0000 0.0116  3 O 2.09
O: 0.9793 0.2293 0.7500  2 Sn 2.09
O: 0.5207 0.2707 0.2500  2 Sn 2.09
O: 0.2293 0.7500 0.9793  2 Sn 2.09
O: 0.7500 0.9793 0.2293  2 Sn 2.09
O: 0.2500 0.5207 0.2707  2 Sn 2.09
O: 0.2707 0.2500 0.5207  2 Sn 2.09

Its maximum piezoelectric response is 0.026 C/m2.



Stability summary: most stable *two*, least stable *one*.



*one*
K2U2O7 | PBE | relaxed

a b c (Å): 8.0628 6.9876 7.1853
angles (deg): 70.81 90.00 90.00
Last column: nearest neighbours and their distance in Å.
Element x y z (fractional)
K: 0.2575 0.0204 0.4940  6 O 2.71-2.83
K: 0.7575 0.9796 0.5060  6 O 2.71-2.83
K: 0.5005 0.4864 0.5034  6 O 2.71-2.86
K: 0.0005 0.5136 0.4966  6 O 2.71-2.86
U: 0.2593 0.5308 0.9949  2 O 1.88
U: 0.7593 0.4692 0.0051  2 O 1.88
U: 0.5012 0.9795 0.0040  2 O 1.89
U: 0.0012 0.0205 0.9960  2 O 1.89
O: 0.3994 0.2677 0.9985  2 U 2.15-2.16
O: 0.8994 0.7323 0.0015  2 U 2.15-2.16
O: 0.4996 0.8874 0.2826  1 U 1.89
O: 0.9996 0.1126 0.7174  1 U 1.89
O: 0.2463 0.4383 0.2722  1 U 1.88
O: 0.7463 0.5617 0.7278  1 U 1.88

So there’s still a lot of learnings that happen there, but in the bigger cities, they’ve lowered the cost of customer acquisition. I can’t divulge details, but typically, it’s greater than a three to one ratio of lifetime value to customer acquisition cost. We expect that ratio to increase to over five to one, over time.

You know, this is the challenge with startups, in that they don’t always know what works at first, which is why they need venture capital financing in order to get that money, to try things out and to experiment. The challenge revolves around how big the theater market is in a particular city, and extrapolating. So if you know that the market in Berlin is over a 100 million dollars a year, then you know, it’s worth it to go in. By comparison, New York, which is one of the largest theater markets, is a 1.2 billion market on an annual basis. TKTS does about a 140 million, annually, of that billion two. So they have, you know, 10- 12% market share, and that’s been steady for decades. TodayTix will probably do over 65 million in New York alone, in 2017. After only a couple years.

Smiga: Wow, and that’s just in three years.

Josh: Yeah.

Smiga: Excellent. I want to wrap up with a couple of the pieces of advice you’ve offered, that are valuable, and maybe you have another one to add. Firstly, it’s clear that VCs that hang out where there are many startups can pick the top 1 or 2%, after spending a significant time with the founders, and it sounds like you did several years of assistance, pro-bono to TodayTix, before deciding to invest.

Josh: Well, we do everything pro-bono.

Smiga: Yeah.

Josh: Everything we venture investors do is essentially pro-bono, because we’re writing the check. We don’t charge as advisors, or mentors, or consultants, that’s not our job.

Smiga: Right.

Josh: Our job is to write a check, and then help.

Smiga: Agreed. Secondly it sounds like TodayTix figured out that the convenience of not having to wait two hours in the TKTS line, is something people were ready to pay for, above of the ticket price, and that that’s where they could improve gross margin per sale.

Josh: Correct.

Smiga: That’s exciting, and finally, that live theater is a much bigger market than all of us, than conventional wisdom foresaw. So that’s great. In closing, is there any other single piece of advice you’d offer to VCs in the audience, that are seeking a company like this? What learning did you get from TodayTix, that you’re now taking with you forward?

Josh: I think a lot of us do watch companies for quite a bit of time before we’re making an investment. You know, TodayTix was one of those that happened at the right place, at the right time, and I had the inside track to understand the business model. We’re generalists, as venture capital firms, so we need to understand many different kinds of businesses. I think that’s one of our advantages, at Rubicon. There are a lot of venture capital firms that are narrow-focused, that only focus on Fin Tech, or on enterprise, or frontier tech, and I think they might miss an opportunity that they otherwise wouldn’t understand, right? Which is unfortunate, because at the end of the day, we have to put capital to work.

So, at least for the younger VCs out there, I think, do not typecast yourself into one specific vertical or thesis, because that vertical may blow up at some point, or just may not have a need for you, or it could be all different kinds of things. So give yourself room to maneuver. In terms of TodayTix, from the founders side, they had a really deep bench of excellent angel investors, and then, us as the first venture capital investors, and then, we brought in other smart VCs along with us.

The challenge, however, was that they really didn’t have a deep pipeline of VCs to go to, because VCs didn’t understand their business. I think that founders out there really need to know their audience. So if you’re talking to different kinds of VCs, before you get to them, learn who they are, learn what pain points they want to see solved, learn how they think, and approach them from an investment need, from that standpoint. Don’t just be like, “Hey, this is an awesome business, you don’t understand it, so you know, we’re not going to waste our time.” It’s not their job. Their job is to evaluate the business based on what they understand from you, the founder, right? So that’s critical.

The other thing, on the founder side, is that you need to know what you’re good at, and what you’re not good at, and be able to divide up, and delegate. You can’t do everything as a founder, and sooner or later, you’ll have to delegate stuff that you otherwise were doing every day, and understand that, as you grow your business, other people can make decisions without your input, and that’s what happens when a company grows.

Smiga: That’s great. So let’s leave it there, and I think one of the great things about TodayTix, for our audience, is they can go out, and get the app, and buy theater tickets for friends and family, today. As a customer, Alpha and I have been following Brian Fenty, and Josh Siegel in their journey. I can tell you it’s a really phenomenal app. It’s the only way to get tickets in New York and London, and I’ve used it in both cities, and I really want to see this company go all the way to a public offering. In any case, thank you Josh for your time, today.

Save the Date: AlphaMarket, October 16, 2024.